(Source)
/*
No. 1
130
Properties=species:S:1:pos:R:3:forces:R:3 method="wB97M-V/def2-TZVPD" s_squared=8.79 energy_ev=-73366.199 spin_multiplicity=6 total_charge=-1 lumo_energy_ev="2.26 / 2.26"
Ru 1.377 2.360 -1.040 -0.366 -0.269 0.133
C 4.204 1.662 0.699 -0.011 -0.013 0.058
O 2.805 1.380 0.765 0.066 -0.070 -0.148
C 2.407 0.168 1.311 -0.037 0.079 0.087
C 1.552 0.228 2.416 0.073 -0.065 -0.061
C 1.082 1.543 2.979 0.002 -0.018 0.108
C -0.344 1.920 2.636 -0.018 0.061 0.084
C -1.173 2.394 3.648 -0.035 -0.017 -0.011
C -2.456 2.878 3.409 -0.023 -0.037 -0.071
C -2.885 2.870 2.076 0.032 -0.003 0.084
C -2.097 2.416 1.037 -0.012 0.021 0.036
C -2.588 2.531 -0.389 -0.059 -0.006 0.001
C -2.482 1.251 -1.179 0.010 -0.056 -0.084
C -3.299 0.178 -0.874 0.033 -0.042 -0.088
C -3.188 -1.045 -1.539 -0.012 0.063 0.070
C -2.216 -1.154 -2.518 -0.038 0.033 -0.016
C -1.356 -0.106 -2.849 -0.012 0.044 0.003
C -0.219 -0.394 -3.812 0.007 0.022 -0.001
C 0.765 -1.347 -3.182 -0.014 -0.058 0.003
C 0.708 -2.711 -3.423 0.043 -0.020 0.014
C 1.562 -3.615 -2.796 -0.001 0.065 0.012
C 2.485 -3.078 -1.895 -0.012 -0.003 -0.069
C 2.570 -1.724 -1.623 -0.001 -0.063 -0.010
C 3.505 -1.183 -0.572 0.043 0.044 0.027
C 2.767 -1.047 0.748 -0.009 0.018 0.022
C 2.327 -2.213 1.380 0.058 0.032 0.002
C 1.513 -2.198 2.497 -0.023 0.006 0.020
C 1.120 -0.953 2.989 0.069 -0.021 -0.029
C 0.994 -3.471 3.162 -0.051 0.011 -0.049
C 1.550 -4.734 2.508 0.054 -0.012 0.048
C 1.377 -3.479 4.646 0.014 0.003 -0.006
C -0.535 -3.507 3.030 -0.021 -0.027 0.062
C 1.711 -0.810 -2.280 -0.077 0.065 -0.132
O 1.816 0.472 -2.118 0.042 -0.038 0.214
C 1.519 -5.120 -3.036 -0.034 -0.021 0.017
C 1.247 -5.846 -1.711 -0.008 -0.026 -0.011
C 2.862 -5.600 -3.600 0.006 -0.015 0.007
C 0.417 -5.517 -4.020 0.008 0.010 -0.005
C -1.529 1.102 -2.189 -0.029 0.066 0.048
O -0.691 2.182 -2.424 0.116 -0.048 -0.072
C -0.744 2.805 -3.702 -0.063 0.017 -0.018
C -4.074 -2.217 -1.122 0.071 0.000 0.011
C -3.787 -3.477 -1.938 -0.010 -0.012 -0.022
C -5.551 -1.849 -1.296 -0.005 0.026 -0.006
C -3.801 -2.536 0.354 -0.065 -0.020 0.019
C -0.791 1.910 1.294 -0.049 -0.030 -0.019
O -0.048 1.475 0.330 0.109 0.095 -0.071
C -3.402 3.346 4.514 0.029 -0.003 0.007
C -2.755 3.276 5.897 0.000 -0.003 -0.005
C -4.650 2.454 4.526 -0.011 -0.001 0.007
C -3.827 4.798 4.263 0.003 0.017 0.011
H 4.786 0.793 1.010 0.004 0.032 -0.014
H 4.458 1.939 -0.326 0.010 -0.001 0.030
H 4.414 2.503 1.365 0.028 -0.031 -0.024
H 1.160 1.492 4.071 -0.004 0.021 -0.059
H 1.777 2.325 2.656 -0.063 -0.007 -0.088
H -0.778 2.381 4.658 -0.013 0.003 0.022
H -3.875 3.243 1.827 -0.020 0.007 0.019
H -3.638 2.843 -0.365 0.037 0.003 0.015
H -2.034 3.319 -0.903 0.031 -0.046 0.033
H -4.024 0.306 -0.078 -0.011 -0.007 0.047
H -2.068 -2.092 -3.034 0.038 -0.047 -0.007
H -0.629 -0.837 -4.725 0.001 0.007 0.013
H 0.306 0.521 -4.078 0.012 0.013 0.006
H -0.029 -3.063 -4.136 -0.021 -0.024 -0.002
H 3.181 -3.740 -1.388 0.004 -0.025 0.043
H 4.358 -1.856 -0.443 -0.033 -0.008 -0.007
H 3.881 -0.219 -0.909 -0.001 0.010 -0.001
H 2.624 -3.153 0.936 -0.014 -0.032 -0.044
H 0.461 -0.885 3.847 -0.059 -0.004 0.009
H 2.639 -4.776 2.571 0.023 0.013 0.011
H 1.150 -5.614 3.017 -0.008 -0.015 0.009
H 1.269 -4.799 1.458 -0.034 -0.008 -0.068
H 2.461 -3.442 4.765 0.028 -0.002 -0.004
H 0.953 -2.624 5.172 -0.008 0.023 0.018
H 1.008 -4.388 5.127 -0.018 -0.036 0.022
H -0.822 -3.508 1.980 -0.024 -0.003 -0.088
H -0.939 -4.407 3.502 0.003 -0.014 0.006
H -1.000 -2.640 3.499 -0.001 0.040 0.023
H 2.028 -5.643 -0.979 0.034 0.019 0.028
H 0.297 -5.521 -1.282 -0.017 0.017 -0.009
H 1.204 -6.928 -1.864 -0.002 -0.032 -0.005
H 3.678 -5.374 -2.914 0.026 0.004 0.019
H 2.846 -6.680 -3.766 0.010 -0.048 -0.010
H 3.080 -5.106 -4.548 -0.016 0.017 -0.023
H -0.567 -5.219 -3.657 -0.032 0.005 0.021
H 0.568 -5.062 -5.000 0.020 0.018 -0.020
H 0.413 -6.602 -4.151 0.006 -0.024 0.000
H -1.213 2.148 -4.437 0.021 0.017 0.009
H -1.325 3.731 -3.627 0.015 -0.029 -0.028
H 0.280 3.033 -4.000 -0.043 0.007 0.006
H -3.970 -3.319 -3.003 -0.017 0.010 -0.027
*/
(What to do)
Duplicate only the last part of the notes further up, starting with the line that has "0.032 -0.014", please.
(Outcome)
H 4.786 0.793 1.010 0.004 0.032 -0.014
H 4.458 1.939 -0.326 0.010 -0.001 0.030
H 4.414 2.503 1.365 0.028 -0.031 -0.024
H 1.160 1.492 4.071 -0.004 0.021 -0.059
H 1.777 2.325 2.656 -0.063 -0.007 -0.088
H -0.778 2.381 4.658 -0.013 0.003 0.022
H -3.875 3.243 1.827 -0.020 0.007 0.019
H -3.638 2.843 -0.365 0.037 0.003 0.015
H -2.034 3.319 -0.903 0.031 -0.046 0.033
H -4.024 0.306 -0.078 -0.011 -0.007 0.047
H -2.068 -2.092 -3.034 0.038 -0.047 -0.007
H -0.629 -0.837 -4.725 0.001 0.007 0.013
H 0.306 0.521 -4.078 0.012 0.013 0.006
H -0.029 -3.063 -4.136 -0.021 -0.024 -0.002
H 3.181 -3.740 -1.388 0.004 -0.025 0.043
H 4.358 -1.856 -0.443 -0.033 -0.008 -0.007
H 3.881 -0.219 -0.909 -0.001 0.010 -0.001
H 2.624 -3.153 0.936 -0.014 -0.032 -0.044
H 0.461 -0.885 3.847 -0.059 -0.004 0.009
H 2.639 -4.776 2.571 0.023 0.013 0.011
H 1.150 -5.614 3.017 -0.008 -0.015 0.009
H 1.269 -4.799 1.458 -0.034 -0.008 -0.068
H 2.461 -3.442 4.765 0.028 -0.002 -0.004
H 0.953 -2.624 5.172 -0.008 0.023 0.018
H 1.008 -4.388 5.127 -0.018 -0.036 0.022
H -0.822 -3.508 1.980 -0.024 -0.003 -0.088
H -0.939 -4.407 3.502 0.003 -0.014 0.006
H -1.000 -2.640 3.499 -0.001 0.040 0.023
H 2.028 -5.643 -0.979 0.034 0.019 0.028
H 0.297 -5.521 -1.282 -0.017 0.017 -0.009
H 1.204 -6.928 -1.864 -0.002 -0.032 -0.005
H 3.678 -5.374 -2.914 0.026 0.004 0.019
H 2.846 -6.680 -3.766 0.010 -0.048 -0.010
H 3.080 -5.106 -4.548 -0.016 0.017 -0.023
H -0.567 -5.219 -3.657 -0.032 0.005 0.021
H 0.568 -5.062 -5.000 0.020 0.018 -0.020
H 0.413 -6.602 -4.151 0.006 -0.024 0.000
H -1.213 2.148 -4.437 0.021 0.017 0.009
H -1.325 3.731 -3.627 0.015 -0.029 -0.028
H 0.280 3.033 -4.000 -0.043 0.007 0.006
H -3.970 -3.319 -3.003 -0.017 0.010 -0.027